What is Neurofeedback in New England?
Here's how neurofeedback typically works:
Brainwave Monitoring: Electrodes are placed on the individual's scalp and ears to measure their brainwave activity. The EEG records the electrical activity of the brain by tracking various types of brainwaves, such as alpha, beta, delta, and theta waves.
Feedback Display: The brainwave activity is displayed in real-time on a computer screen. This feedback is represented by a graph that patients can watch during a session, if they choose.
Training and Learning: during a Neurofeedback session, patients listen to music and relax (to the best of their ability) in a recliner. The music is important to the features of Neurofeedback, and the “brain training” element involves anomalous noises that occur in the music while they are hooked up. Want to know more about why this works? Read on below!
Neurofeedback, also known as EEG (electroencephalogram) biofeedback or neurotherapy, is a therapeutic technique that involves monitoring and providing feedback on a person's brainwave activity. It is a form of biofeedback that focuses specifically on the electrical activity of the brain.

Why Does Neurofeedback Work?
During a Neurofeedback session, the hardware and software from the device looks for irregularities in brain activity. Irregularities in brain function are common and often normal changes that can occur as the result of: trauma, brain injury, chronic disease, stress, etc.
Although the brain can change in many ways, these specific changes can lead to unwanted symptoms. However, the goal of Neurofeedback is not to induce a more desirable state of mind. With NeurOptimal® Neurofeedback, the brand used by Greenhouse Natural Medicine, the goal is to allow the brain to learn about its own activity (and thus heal itself).
What does Neurofeedback treat?
As previously mentioned, the purpose of Neuroptimal Neurofeedback is to reflect activity back to the brain to support change. Unlike other therapies intended to induce a direct impact on the body, Neuroptimal Neurofeedback allows the brain to heal itself. In this way, Neurofeedback is considered “training” (like brain yoga) and not a treatment.
However, the following conditions have improved with brain training as demonstrated by various studies:
Insomnia and Sleep Disorders
Brain Injury and Concussion
Brain Fog
Cognitive Change and Memory Loss
Attention Disorders
General Wellness
General Brain Performance
Neurofeedback has also helped anxiety, depression and phobias to improve in a clinical setting. Neurofeedback is safe for everyone, and there is no limit to how it can help your brain to evolve!

How Neurofeedback Works
“NeurOptimal® monitors electrical activity from the slowest 0.1 Hz up to 64 Hz on both the left and right hemispheres simultaneously. This is different than focusing on content or any particular EEG frequency as other systems do. The specially designed computer software and EEG hardware will detect any changes or differences in the electrical signal, which is a sign of the brain about to make a shift. The brain then decides if it means to shift or if it was shifting unnecessarily… The brain then uses this information to organize itself.
During a Session, the client listens to music or watches a movie. As soon as NeurOptimal® detects that the brain is about to make a change, feedback is provided via a very brief pause in the sound. The brain then adapts itself in response to the information, which then provides new and different information for NeurOptimal® to mirror back. With NeurOptimal® (or Dynamical Neurofeedback®) the brain is simply interacting adaptively with itself moment by moment, not striving to produce more of some frequency and less of another. While those kinds of changes may be observed, they occur as part of an intrinsic self-organizing principal rather than an artificially imposed constraint.”
Misplaced calculated crystals
=====
40
Lattice="-0.807 12.039 -3.745 -0.110 -2.075 -6.646 -13.407 -0.807 0.294" Properties=species:S:1:pos:R:3 comment="KDy2Cl7 (GGA-PBE, optimized geometry)" e_tot_ev_per_atom=-4.57 formation_energy_ev_per_atom=-2.673 pbc="T T T"
K -13.158 0.100 -5.395
K -7.789 7.465 -4.184
K -1.165 9.057 -4.701
K -6.535 1.692 -5.912
Dy -10.853 7.910 -8.065
Dy -10.321 3.028 -2.564
Dy -3.471 1.247 -2.032
Dy -4.003 6.129 -7.532
Dy -10.736 4.359 -6.608
Dy -9.950 -0.707 -1.754
Dy -3.588 4.798 -3.488
Dy -4.374 9.864 -8.342
Cl -8.820 6.206 -7.400
Cl -12.104 1.015 -2.072
Cl -5.503 2.951 -2.696
Cl -2.220 8.143 -8.024
Cl -11.687 6.758 -5.737
Cl -9.264 0.874 -3.863
Cl -2.636 2.400 -4.359
Cl -5.059 8.283 -6.233
Cl -11.729 5.468 -8.850
Cl -9.184 1.585 -0.570
Cl -2.595 3.690 -1.247
Cl -5.140 7.572 -9.526
Cl -9.155 9.557 -6.753
Cl -12.155 3.424 -4.511
Cl -5.168 -0.400 -3.343
Cl -2.169 5.733 -5.585
Cl -9.106 10.388 -3.520
Cl -12.183 2.271 -7.644
Cl -5.218 -1.231 -6.576
Cl -2.141 6.886 -2.452
Cl -12.448 9.886 -7.073
Cl -8.941 4.275 -4.558
Cl -1.875 -0.729 -3.023
Cl -5.382 4.883 -5.539
Cl -12.423 10.578 -3.506
Cl -8.915 2.821 -7.888
Cl -1.901 -1.421 -6.590
Cl -5.408 6.336 -2.208

~~~~~

Entry 1:
# GGA+U Mo3P5Pb3O23, optimized geometry
data_Mo3P5Pb3O23
_space_group_name_H-M_alt 'P n m a'
_space_group_IT_number 62
_space_group_name_Hall '-P 2ac 2n'
_cell_length_a 14.578
_cell_length_b 15.931
_cell_length_c 8.281
_cell_angle_alpha 90.00
_cell_angle_beta 90.00
_cell_angle_gamma 90.00
loop_
_atom_site_label
_atom_site_fract_x
_atom_site_fract_y
_atom_site_fract_z
Mo1 0.152 0.083 0.005
Mo2 0.153 0.750 0.056
P1 0.062 0.595 0.820
P2 0.067 0.250 0.799
P3 0.145 0.572 0.286
Pb1 0.097 0.085 0.543
Pb2 0.110 0.750 0.545
O1 0.008 0.750 0.073
O2 0.017 0.084 0.057
O3 0.027 0.631 0.658
O4 0.033 0.250 0.621
O5 0.054 0.541 0.357
O6 0.112 0.509 0.800
O7 0.129 0.170 0.819
O8 0.133 0.660 0.885
O9 0.143 0.667 0.250
O10 0.173 0.525 0.130
O11 0.189 0.153 0.148
O12 0.219 0.556 0.418
O13 0.229 0.250 0.535
# Size of the total moment, μB per formula unit: 3.1
# Corrected total energy (MP2020 scheme), eV/atom: -7.784
# Energy of formation from the pure elements, eV per atom: -2.3558

---

Entry 2:
# GGA+U MgCr3S6O24, optimized geometry
data_MgCr3S6O24
_space_group_name_H-M_alt 'R 3'
_space_group_IT_number 146
_space_group_name_Hall 'R 3'
_cell_length_a 8.3041
_cell_length_b 8.3041
_cell_length_c 22.3419
_cell_angle_alpha 90.00
_cell_angle_beta 90.00
_cell_angle_gamma 120.00
loop_
_atom_site_label
_atom_site_fract_x
_atom_site_fract_y
_atom_site_fract_z
Mg1 0.0000 0.0000 0.0000
Cr1 0.0000 0.0000 0.2860
Cr2 0.0000 0.0000 0.4914
Cr3 0.0000 0.0000 0.7926
S1 0.0028 0.2910 0.3931
S2 0.0041 0.7105 0.8910
O1 0.0108 0.2048 0.3359
O2 0.0341 0.8304 0.2292
O3 0.0777 0.8541 0.5412
O4 0.0798 0.8512 0.8419
O5 0.1351 0.6783 0.6137
O6 0.1541 0.4546 0.7219
O7 0.1913 0.4477 0.1076
O8 0.1957 0.4364 0.4077
# Size of the total moment, μB per formula unit: 8.0
# Corrected total energy (MP2020 scheme), eV/atom: -7.151
=====
Back to the piece
—“Neuroptimal Brain Training.” Neuroptimal Brain Training E-Book,
Neuroptimal.com, neuroptimal.com/wp-content/uploads/pdfs/new-user-resources/E-book-EN.pdf.
_Calculated crystals, as found in the file_
-- begin --
[1]
{
  "formula": "Rb2CoSe2",
  "functional": "PBE-GGA",
  "state": "optimized geometry",
  "lattice": [[-5.263, 5.080, 4.212], [-6.917, 1.349, -4.646], [4.056, -6.902, 2.678]],
  "species": ["Rb", "Rb", "Rb", "Rb", "Co", "Co", "Se", "Se", "Se", "Se"],
  "fractional_positions": [[0.473, 0.645, 0.827], [0.527, 0.355, 0.173], [0.182, 0.855, 0.327], [0.818, 0.145, 0.673], [0.000, 0.250, 0.250], [0.000, 0.750, 0.750], [0.923, 0.596, 0.327], [0.730, 0.904, 0.827], [0.270, 0.096, 0.173], [0.077, 0.404, 0.673]],
  "space_group": "Ibam",
  "e_tot_ev_per_fu": -19.651
}

***

[2]
{
  "formula": "Ta2CoRe2Se8",
  "functional": "PBE-GGA",
  "state": "optimized geometry",
  "lattice": [[1.905, 0.669, -2.835], [-2.042, -2.816, 0.099], [-18.872, 13.347, -9.531]],
  "species": ["Ta", "Ta", "Co", "Re", "Re", "Se", "Se", "Se", "Se", "Se", "Se", "Se", "Se"],
  "fractional_positions": [[0.000, 0.000, 0.129], [0.000, 0.000, 0.625], [0.000, 0.000, 0.255], [0.000, 0.000, 0.371], [0.000, 0.000, 0.875], [0.667, 0.333, 0.306], [0.667, 0.333, 0.813], [0.333, 0.667, 0.196], [0.333, 0.667, 0.691], [0.333, 0.667, 0.062], [0.333, 0.667, 0.558], [0.667, 0.333, 0.432], [0.667, 0.333, 0.937]],
  "space_group": "P3m1",
  "e_tot_ev_per_fu": -88.036
}

***

[3]
{
  "formula": "ZrCoRe",
  "functional": "PBE-GGA",
  "state": "optimized geometry",
  "lattice": [[4.516, 2.282, 0.697], [-2.107, -2.734, 3.785], [3.912, -6.886, -2.796]],
  "species": ["Zr", "Zr", "Zr", "Zr", "Co", "Co", "Co", "Co", "Re", "Re", "Re", "Re"],
  "fractional_positions": [[0.661, 0.330, 0.572], [0.329, 0.665, 0.443], [0.329, 0.665, 0.057], [0.661, 0.330, 0.928], [0.002, 0.001, 0.512], [0.002, 0.001, 0.988], [0.176, 0.341, 0.750], [0.176, 0.836, 0.750], [0.664, 0.832, 0.750], [0.831, 0.664, 0.250], [0.831, 0.167, 0.250], [0.337, 0.168, 0.250]],
  "space_group": "Amm2",
  "e_tot_ev_per_fu": -29.019
}

***

[4]
{
  "formula": "CoRh",
  "functional": "PBE-GGA",
  "state": "optimized geometry",
  "lattice": [[4.326, -1.329, 0.000], [4.326, 1.329, 0.000], [3.918, 0.000, 2.265]],
  "species": ["Co", "Rh"],
  "fractional_positions": [[0.000, 0.000, 0.000], [0.500, 0.500, 0.500]],
  "space_group": "R-3m",
  "e_tot_ev_per_fu": -14.308
}

***

[5]
{
  "formula": "CoRh3",
  "functional": "PBE-GGA",
  "state": "optimized geometry",
  "lattice": [[-3.127, -0.300, 2.078], [-1.369, -2.536, -2.425], [1.592, -2.769, 1.996]],
  "species": ["Co", "Rh", "Rh", "Rh"],
  "fractional_positions": [[0.000, 0.000, 0.000], [0.000, 0.500, 0.500], [0.500, 0.000, 0.500], [0.500, 0.500, 0.000]],
  "space_group": "Pm-3m",
  "e_tot_ev_per_fu": -28.939
}

***

[6]
{
  "formula": "Co8RhS8",
  "functional": "PBE-GGA",
  "state": "optimized geometry",
  "lattice": [[5.290, 4.578, 0.294], [4.729, 0.222, -5.159], [0.151, 5.462, -4.378]],
  "species": ["Co", "Co", "Co", "Co", "Co", "Co", "Co", "Co", "Rh", "S", "S", "S", "S", "S", "S", "S", "S"],
-- stop --
_End of the calculated crystals_
Accessed 24 Oct. 2023.
Yes! Neurofeedback is incredibly safe and can even be used with patients who have seizures.
Neurofeedback sessions last for 33 minutes; however, office appointments are scheduled for 60 minutes or 45 minutes. The longer appointments are for check ups and new clients.
Initial appointments with new patients (for Neurofeedback) require an initial intake, as well as discussion about expectations and goals. This is typically done with Dr. Mendelsohn. However, patients returning for additional sessions or existing patients with prior education may complete sessions with another staff member. This allows for increased flexibility with scheduling.
-- Misplaced crystal structures --
No. 1
A plane-wave DFT calculation with PBE was carried out for crystalline Sc3Bi at its relaxed geometry.

Cell lengths 6.5283, 6.5283, 5.1736 Å; angles 90.00, 90.00, 120.00 degrees
Fractional coordinates of all 8 atoms:
Sc 0.1649 0.8351 0.2500
Sc 0.6702 0.8351 0.2500
Sc 0.1649 0.3298 0.2500
Sc 0.8351 0.1649 0.7500
Bi 0.3333 0.6667 0.7500
Sc 0.3298 0.1649 0.7500
Bi 0.6667 0.3333 0.2500
Sc 0.8351 0.6702 0.7500

Values from the calculation:
- Spin magnetization: 0.017 μB per atom
- Calculated formation energy: -31.4 kJ per mole of atoms

No. 2
A plane-wave DFT calculation with PBE was carried out for crystalline KCa4Si8H16O29 at its relaxed geometry.

Cell lengths 9.0581, 9.0581, 16.0719 Å; angles 90.00, 90.00, 90.00 degrees
Fractional coordinates of all 116 atoms:
Si 0.4146 0.2738 0.3094
Si 0.7738 0.9146 0.1906
O 0.4497 0.7971 0.0892
H 0.9479 0.3404 0.4090
H 0.8404 0.4479 0.9090
H 0.2801 0.9242 0.6473
O 0.5503 0.2029 0.9108
O 0.7642 0.4000 0.5932
H 0.1596 0.5521 0.0910
O 0.1897 0.9147 0.2193
O 0.0853 0.1897 0.7807
H 0.4242 0.7801 0.1473
O 0.9000 0.2642 0.0932
O 0.6000 0.7642 0.4068
O 0.2642 0.1000 0.9068
O 0.1358 0.6358 0.7500
H 0.6596 0.9479 0.4090
O 0.9000 0.2642 0.9068
O 0.6358 0.8642 0.2500
O 0.2642 0.1000 0.0932
O 0.2029 0.4497 0.0892
O 0.6897 0.5853 0.2807
H 0.4479 0.1596 0.9090
O 0.3103 0.4147 0.2807
H 0.0758 0.2801 0.3527
Ca 0.2450 0.8894 0.0000
O 0.3103 0.4147 0.7193
H 0.5521 0.8404 0.9090
Ca 0.2550 0.3894 0.5000
H 0.1596 0.5521 0.9090
O 0.3642 0.1358 0.2500
O 0.7029 0.0503 0.4108
Ca 0.8894 0.7550 0.0000
H 0.3404 0.0521 0.5910
Ca 0.7450 0.6106 0.5000
O 0.5503 0.2029 0.0892
H 0.5758 0.2199 0.1473
O 0.5000 0.5000 0.5000
O 0.5853 0.3103 0.7193
H 0.5758 0.2199 0.8527
O 0.7029 0.0503 0.5892
O 0.7358 0.9000 0.0932
H 0.2199 0.4242 0.8527
Si 0.5854 0.7262 0.6906
O 0.1000 0.7358 0.0932
O 0.2971 0.9497 0.4108
O 0.9147 0.8103 0.7807
Si 0.7738 0.9146 0.8094
O 0.4147 0.6897 0.2807
O 0.7358 0.9000 0.9068
H 0.6596 0.9479 0.5910
O 0.2358 0.6000 0.4068
O 0.0503 0.2971 0.4108
H 0.0521 0.6596 0.4090
Ca 0.1106 0.2450 0.0000
K 0.5000 0.5000 0.0000
K 0.0000 0.0000 0.5000
O 0.7971 0.5503 0.0892
H 0.2199 0.4242 0.1473
Si 0.2738 0.5854 0.6906
O 0.7971 0.5503 0.9108
O 0.4000 0.2358 0.5932
O 0.2971 0.9497 0.5892
H 0.0758 0.2801 0.6473
Si 0.9146 0.2262 0.1906
H 0.7801 0.5758 0.8527
H 0.2801 0.9242 0.3527
H 0.4242 0.7801 0.8527
H 0.9242 0.7199 0.3527
H 0.4479 0.1596 0.0910
H 0.9479 0.3404 0.5910
O 0.6358 0.8642 0.7500
Ca 0.3894 0.7450 0.5000
Si 0.0854 0.7738 0.8094
O 0.6897 0.5853 0.7193
Si 0.2262 0.0854 0.1906
O 0.2029 0.4497 0.9108
H 0.3404 0.0521 0.4090
O 0.8103 0.0853 0.2193
O 0.5853 0.3103 0.2807
Si 0.9146 0.2262 0.8094
Si 0.4146 0.2738 0.6906
Ca 0.6106 0.2550 0.5000
Si 0.0854 0.7738 0.1906
O 0.9147 0.8103 0.2193
O 0.9497 0.7029 0.4108
O 0.7642 0.4000 0.4068
Si 0.7262 0.4146 0.3094
O 0.8642 0.3642 0.7500
H 0.5521 0.8404 0.0910
O 0.0503 0.2971 0.5892
H 0.7801 0.5758 0.1473
H 0.0521 0.6596 0.5910
O 0.1000 0.7358 0.9068
O 0.3642 0.1358 0.7500
-- The text goes on --
Unfortunately, Neurofeedback is like exercise. One cannot guarantee how long it will take the brain to “get in shape.” Generally, noticeable changes occur between 3-7 sessions with once per week treatment. Once a desired outcome has occurred, patients may choose maintenance sessions 1-2x per month to sustain improvements. However, this is not always necessary.
It is recommended that you bring a blanket and/or warm clothes, where you will be comfortable sitting in a lounge chair in an office. If you choose, you can bring headphones or use the speaker attached to the device.
Unfortunately, this type of Neurofeedback cannot be charged to insurance. Due to the unique nature of the program, it cannot be claimed as a “treatment” for insurance purposes. In order to make the treatment affordable to patients, the following pricing schedule has been arranged:
• First Session: $200 including a training session, discussion, and paperwork to track progress. 60 minutes
• Intermediate Sessions: $50 per session for training alone. 45 minutes
Your journey starts here.
If you’re curious about Neurofeedback and are in the New England area, please call our office. We’d love to help answer any questions you might have!